[Material]
/*
Theoretical X-ray powder pattern of Tb2Ge2O7 for CuKα, from a crystal structure in OQMD, relaxed with PBE.

Cell and atoms:
Unit cell a=6.810 b=6.810 c=12.422 alpha=90.00 beta=90.00 gamma=90.00
Space group P4_12_12 (No. 92)
Asymmetric unit:
Tb (0.126, 0.353, 0.115)
Ge (0.102, 0.153, 0.630)
O (0.032, 0.076, 0.874)
O (0.063, 0.662, 0.179)
O (0.144, 0.317, 0.294)
O (0.201, 0.201, 0.500)

Most intense lines, 2θ from 10° to 80°, low angle first:
- (1 0 1), 5.972 Å, 2θ = 14.83°, I = 40
- (2 0 1), 3.284 Å, 2θ = 27.15°, I = 80
- (0 0 4), 3.105 Å, 2θ = 28.75°, I = 77
- (2 1 0), 3.046 Å, 2θ = 29.32°, I = 25
- (2 1 1), 2.958 Å, 2θ = 30.21°, I = 47
- (2 1 2), 2.735 Å, 2θ = 32.75°, I = 100
- (2 0 3), 2.630 Å, 2θ = 34.09°, I = 41
- (3 2 1), 1.867 Å, 2θ = 48.77°, I = 39
- (2 1 6), 1.712 Å, 2θ = 53.52°, I = 34
- (4 0 4), 1.493 Å, 2θ = 62.18°, I = 26

Theoretical X-ray powder pattern of Rb2AgBiCl6 for CuKα, from a crystal structure in OQMD, relaxed with PBE.

Cell and atoms:
Unit cell a=10.794 b=10.794 c=10.794 alpha=90.00 beta=90.00 gamma=90.00
Space group Fm-3m (No. 225)
Asymmetric unit:
Rb (0.250, 0.250, 0.250)
Ag (0.000, 0.000, 0.000)
Bi (0.000, 0.000, 0.500)
Cl (0.000, 0.000, 0.249)

Most intense lines, 2θ from 10° to 80°, low angle first:
- (2 0 0), 5.397 Å, 2θ = 16.43°, I = 32
- (2 2 0), 3.816 Å, 2θ = 23.31°, I = 100
- (4 0 0), 2.698 Å, 2θ = 33.20°, I = 59
- (4 2 0), 2.414 Å, 2θ = 37.26°, I = 16
- (4 2 2), 2.203 Å, 2θ = 40.96°, I = 47
- (4 4 0), 1.908 Å, 2θ = 47.66°, I = 41
- (6 2 0), 1.707 Å, 2θ = 53.71°, I = 22
- (4 4 4), 1.558 Å, 2θ = 59.32°, I = 14
- (6 4 2), 1.442 Å, 2θ = 64.62°, I = 25
- (8 4 0), 1.207 Å, 2θ = 79.41°, I = 18


The following is a simulated X-ray powder pattern of Hf2Cu3W4C3. It was derived from the GGA-PBE geometry in OQMD, using Cu Kα (λ = 1.5418 Å).

Principal peaks in the range 10 to 80 degrees two-theta, in order of rising 2θ:
- 2θ = 13.4°, rel. 41.7
- 2θ = 27.0°, rel. 28.6
- 2θ = 33.6°, rel. 62.7
- 2θ = 34.3°, rel. 83.0
- 2θ = 39.4°, rel. 100.0
- 2θ = 39.5°, rel. 98.1
- 2θ = 39.6°, rel. 92.5
- 2θ = 41.0°, rel. 50.7
- 2θ = 43.5°, rel. 17.7
- 2θ = 60.1°, rel. 58.8
- 2θ = 67.2°, rel. 19.4
- 2θ = 71.0°, rel. 15.8

Atomic structure:
Unit cell a=5.3364 b=5.3364 c=13.5816 alpha=101.70 beta=101.70 gamma=59.99
Fractional positions:
Hf  0.0398  0.8775  0.6142
Hf  0.1225  0.9602  0.8858
Hf  0.8775  0.0398  0.1142
Hf  0.9602  0.1225  0.3858
Cu  0.0859  0.3871  0.7516
Cu  0.3871  0.0859  0.2516
Cu  0.4405  0.5595  0.2500
Cu  0.5595  0.4405  0.7500
Cu  0.6129  0.9141  0.7484
Cu  0.9141  0.6129  0.2484
W  0.1946  0.3540  0.0831
W  0.2962  0.4804  0.4170
W  0.3540  0.1946  0.5831
W  0.4804  0.2962  0.9170
W  0.5196  0.7038  0.0830
W  0.6460  0.8054  0.4169
W  0.7038  0.5196  0.5830
W  0.8054  0.6460  0.9169
C  0.0000  0.5000  0.5000
C  0.1632  0.6734  0.0000
C  0.3266  0.8368  0.5000
C  0.5000  0.0000  0.0000
C  0.6734  0.1632  0.5000
C  0.8368  0.3266  0.0000

---

The following is a simulated X-ray powder pattern of Y2ReSi2MoC. It was derived from the GGA-PBE geometry in OQMD, using Cu Kα (λ = 1.5418 Å).

Principal peaks in the range 10 to 80 degrees two-theta, in order of rising 2θ:
- 2θ = 15.6°, rel. 49.6
- 2θ = 19.9°, rel. 15.9
- 2θ = 26.2°, rel. 19.4
- 2θ = 32.0°, rel. 42.8
- 2θ = 33.6°, rel. 93.1
- 2θ = 35.4°, rel. 100.0
- 2θ = 38.2°, rel. 28.2
- 2θ = 40.2°, rel. 30.8
- 2θ = 46.8°, rel. 27.3
- 2θ = 56.9°, rel. 16.3
- 2θ = 57.9°, rel. 21.8
- 2θ = 63.4°, rel. 15.9

Atomic structure:
Unit cell a=5.8623 b=5.8623 c=7.0684 alpha=124.04 beta=124.04 gamma=38.64
Fractional positions:
Y  0.0000  0.0000  0.0000
Y  0.1478  0.1478  0.5979
Re  0.3673  0.3673  0.2112
Si  0.4430  0.4430  0.6284
Si  0.7150  0.7150  0.9721
Mo  0.7786  0.7786  0.3820
C  0.5717  0.5717  0.2962

---

The following is a simulated X-ray powder pattern of Ni. It was derived from the GGA-PBE geometry in OQMD, using Cu Kα (λ = 1.5418 Å).

Principal peaks in the range 10 to 80 degrees two-theta, in order of rising 2θ:
- 2θ = 45.0°, rel. 100.0
*/

[Brief]
It remains to write out the part of the calculation results earlier on that starts with the line with "c=12.422 alpha=90.00" and stops after the one with "0.2484".

[Outcome]
Unit cell a=6.810 b=6.810 c=12.422 alpha=90.00 beta=90.00 gamma=90.00
Space group P4_12_12 (No. 92)
Asymmetric unit:
Tb (0.126, 0.353, 0.115)
Ge (0.102, 0.153, 0.630)
O (0.032, 0.076, 0.874)
O (0.063, 0.662, 0.179)
O (0.144, 0.317, 0.294)
O (0.201, 0.201, 0.500)

Most intense lines, 2θ from 10° to 80°, low angle first:
- (1 0 1), 5.972 Å, 2θ = 14.83°, I = 40
- (2 0 1), 3.284 Å, 2θ = 27.15°, I = 80
- (0 0 4), 3.105 Å, 2θ = 28.75°, I = 77
- (2 1 0), 3.046 Å, 2θ = 29.32°, I = 25
- (2 1 1), 2.958 Å, 2θ = 30.21°, I = 47
- (2 1 2), 2.735 Å, 2θ = 32.75°, I = 100
- (2 0 3), 2.630 Å, 2θ = 34.09°, I = 41
- (3 2 1), 1.867 Å, 2θ = 48.77°, I = 39
- (2 1 6), 1.712 Å, 2θ = 53.52°, I = 34
- (4 0 4), 1.493 Å, 2θ = 62.18°, I = 26

Theoretical X-ray powder pattern of Rb2AgBiCl6 for CuKα, from a crystal structure in OQMD, relaxed with PBE.

Cell and atoms:
Unit cell a=10.794 b=10.794 c=10.794 alpha=90.00 beta=90.00 gamma=90.00
Space group Fm-3m (No. 225)
Asymmetric unit:
Rb (0.250, 0.250, 0.250)
Ag (0.000, 0.000, 0.000)
Bi (0.000, 0.000, 0.500)
Cl (0.000, 0.000, 0.249)

Most intense lines, 2θ from 10° to 80°, low angle first:
- (2 0 0), 5.397 Å, 2θ = 16.43°, I = 32
- (2 2 0), 3.816 Å, 2θ = 23.31°, I = 100
- (4 0 0), 2.698 Å, 2θ = 33.20°, I = 59
- (4 2 0), 2.414 Å, 2θ = 37.26°, I = 16
- (4 2 2), 2.203 Å, 2θ = 40.96°, I = 47
- (4 4 0), 1.908 Å, 2θ = 47.66°, I = 41
- (6 2 0), 1.707 Å, 2θ = 53.71°, I = 22
- (4 4 4), 1.558 Å, 2θ = 59.32°, I = 14
- (6 4 2), 1.442 Å, 2θ = 64.62°, I = 25
- (8 4 0), 1.207 Å, 2θ = 79.41°, I = 18


The following is a simulated X-ray powder pattern of Hf2Cu3W4C3. It was derived from the GGA-PBE geometry in OQMD, using Cu Kα (λ = 1.5418 Å).

Principal peaks in the range 10 to 80 degrees two-theta, in order of rising 2θ:
- 2θ = 13.4°, rel. 41.7
- 2θ = 27.0°, rel. 28.6
- 2θ = 33.6°, rel. 62.7
- 2θ = 34.3°, rel. 83.0
- 2θ = 39.4°, rel. 100.0
- 2θ = 39.5°, rel. 98.1
- 2θ = 39.6°, rel. 92.5
- 2θ = 41.0°, rel. 50.7
- 2θ = 43.5°, rel. 17.7
- 2θ = 60.1°, rel. 58.8
- 2θ = 67.2°, rel. 19.4
- 2θ = 71.0°, rel. 15.8

Atomic structure:
Unit cell a=5.3364 b=5.3364 c=13.5816 alpha=101.70 beta=101.70 gamma=59.99
Fractional positions:
Hf  0.0398  0.8775  0.6142
Hf  0.1225  0.9602  0.8858
Hf  0.8775  0.0398  0.1142
Hf  0.9602  0.1225  0.3858
Cu  0.0859  0.3871  0.7516
Cu  0.3871  0.0859  0.2516
Cu  0.4405  0.5595  0.2500
Cu  0.5595  0.4405  0.7500
Cu  0.6129  0.9141  0.7484
Cu  0.9141  0.6129  0.2484